Work order.
Duplicate the calculation results further down exactly.

Entries.
[1]
VCdRu: computed powder XRD pattern (Cu Kα, 1.54184 Å), based on a structure optimized by DFT (GGA-PBE).
Lines closer than 0.1° are merged.

Largest 6 diffraction maxima, in order of rising 2θ, 2θ from 10° to 90°:
| Position (°2θ) | d [Å] | I (rel.) | (hkl) |
| --- | --- | --- | --- |
| 30.2 | 2.957 | 19 | 1 0 1 |
| 39.5 | 2.280 | 100 | 1 0 3 |
| 41.3 | 2.186 | 49 | 1 1 0 |
| 59.8 | 1.546 | 16 | 2 0 0 |
| 70.5 | 1.336 | 12 | 1 1 6 |
| 74.1 | 1.279 | 29 | 2 1 3 |

Crystal structure
abc: 3.0916 3.0916 10.1265
angles: 90.00 90.00 90.00
Space group I4mm (No. 107)
Symmetry-distinct sites (fractional):
V 0.0000 0.0000 0.0000 (multiplicity 2)
Cd 0.0000 0.0000 0.3089 (multiplicity 2)
Ru 0.0000 0.0000 0.6176 (multiplicity 2)



[2]
Na3HoNp3S8: computed powder XRD pattern (Cu Kα, 1.54184 Å), based on a structure optimized by DFT (GGA-PBE).
Lines closer than 0.1° are merged.

Largest 6 diffraction maxima, in order of rising 2θ, 2θ from 10° to 90°:
| Position (°2θ) | d [Å] | I (rel.) | (hkl) |
| --- | --- | --- | --- |
| 13.3 | 6.669 | 100 | 0 0 3 |
| 26.1 | 3.414 | 54 | 0 2 1 |
| 27.2 | 3.274 | 35 | 2 0 2 |
| 31.4 | 2.848 | 82 | 0 2 4 |
| 44.7 | 2.028 | 30 | 2 0 8 |
| 45.3 | 2.000 | 30 | 2 2 0 |

Crystal structure
abc: 8.0017 8.0017 20.0078
angles: 90.00 90.00 120.00
Space group R-3m (No. 166, hexagonal axes)
Symmetry-distinct sites (fractional):
Na 0.0000 0.5000 0.0000 (multiplicity 9)
Ho 0.0000 0.0000 0.5000 (multiplicity 3)
Np 0.0000 0.5000 0.5000 (multiplicity 9)
S 0.0000 0.0000 0.2414 (multiplicity 6)
S 0.0006 0.5003 0.2401 (multiplicity 18)



[3]
Y2CoNi3: computed powder XRD pattern (Cu Kα, 1.54184 Å), based on a structure optimized by DFT (GGA-PBE).
Lines closer than 0.1° are merged.

Largest 6 diffraction maxima, in order of rising 2θ, 2θ from 10° to 90°:
| Position (°2θ) | d [Å] | I (rel.) | (hkl) |
| --- | --- | --- | --- |
| 33.1 | 2.709 | 38 | 1 1 2 |
| 34.3 | 2.612 | 100 | 1 0 3 |
| 35.3 | 2.545 | 67 | 0 2 0 |
| 43.8 | 2.066 | 36 | 2 0 0 |
| 50.0 | 1.823 | 66 | 1 2 3 |
| 57.5 | 1.604 | 31 | 2 2 0 |

Crystal structure
abc: 4.1326 5.0891 10.1116
angles: 90.00 90.00 90.00
Space group Immm (No. 71)
Symmetry-distinct sites (fractional):
Y 0.0000 0.0000 0.1879 (multiplicity 4)
Co 0.0000 0.0000 0.5000 (multiplicity 2)
Ni 0.0000 0.5000 0.1134 (multiplicity 4)
Ni 0.0000 0.5000 0.5000 (multiplicity 2)



[4]
Mn2CoRe: computed powder XRD pattern (Cu Kα, 1.54184 Å), based on a structure optimized by DFT (GGA-PBE).
Lines closer than 0.1° are merged.

Largest 6 diffraction maxima, in order of rising 2θ, 2θ from 10° to 90°:
| Position (°2θ) | d [Å] | I (rel.) | (hkl) |
| --- | --- | --- | --- |
| 17.1 | 5.187 | 22 | 0 0 1 |
| 30.5 | 2.933 | 19 | 0 1 1 |
| 43.2 | 2.095 | 100 | 1 1 0 |
| 49.7 | 1.833 | 32 | 1 0 2 |
| 74.3 | 1.276 | 19 | 1 2 2 |
| 88.7 | 1.102 | 23 | 2 1 2 |

Crystal structure
abc: 2.5917 3.5566 5.1873
angles: 90.00 90.00 90.00
Space group Pmmm (No. 47)
Symmetry-distinct sites (fractional):
Mn 0.0000 0.0000 0.2291 (multiplicity 2)
Co 0.5000 0.5000 0.0000 (multiplicity 1)
Re 0.5000 0.5000 0.5000 (multiplicity 1)



[5]
Nd2SmCuTe5: computed powder XRD pattern (Cu Kα, 1.54184 Å), based on a structure optimized by DFT (GGA-PBE).
Lines closer than 0.1° are merged.

Largest 6 diffraction maxima, in order of rising 2θ, 2θ from 10° to 90°:
| Position (°2θ) | d [Å] | I (rel.) | (hkl) |
| --- | --- | --- | --- |
| 25.1 | 3.548 | 17 | 1 1 2 |
| 28.7 | 3.113 | 41 | 0 6 1 |
| 29.4 | 3.033 | 100 | 1 1 3 |
| 34.1 | 2.632 | 68 | 1 5 2 |
| 39.4 | 2.286 | 20 | 0 6 4 |
| 41.7 | 2.166 | 30 | 2 0 0 |

Crystal structure
abc: 4.3311 19.2322 13.0719
angles: 90.00 90.00 90.00
Space group Cmc2_1 (No. 36)
Symmetry-distinct sites (fractional):
Nd 0.0000 0.1084 0.0000 (multiplicity 4)
Nd 0.0000 0.1228 0.6223 (multiplicity 4)
Sm 0.0000 0.1914 0.3246 (multiplicity 4)
Cu 0.0000 0.4296 0.7732 (multiplicity 4)
Te 0.0000 0.0407 0.3790 (multiplicity 4)
Te 0.0000 0.2868 0.9919 (multiplicity 4)
Te 0.0000 0.3154 0.6552 (multiplicity 4)

Worked solution.
[1]
VCdRu: computed powder XRD pattern (Cu Kα, 1.54184 Å), based on a structure optimized by DFT (GGA-PBE).
Lines closer than 0.1° are merged.

Largest 6 diffraction maxima, in order of rising 2θ, 2θ from 10° to 90°:
| Position (°2θ) | d [Å] | I (rel.) | (hkl) |
| --- | --- | --- | --- |
| 30.2 | 2.957 | 19 | 1 0 1 |
| 39.5 | 2.280 | 100 | 1 0 3 |
| 41.3 | 2.186 | 49 | 1 1 0 |
| 59.8 | 1.546 | 16 | 2 0 0 |
| 70.5 | 1.336 | 12 | 1 1 6 |
| 74.1 | 1.279 | 29 | 2 1 3 |

Crystal structure
abc: 3.0916 3.0916 10.1265
angles: 90.00 90.00 90.00
Space group I4mm (No. 107)
Symmetry-distinct sites (fractional):
V 0.0000 0.0000 0.0000 (multiplicity 2)
Cd 0.0000 0.0000 0.3089 (multiplicity 2)
Ru 0.0000 0.0000 0.6176 (multiplicity 2)



[2]
Na3HoNp3S8: computed powder XRD pattern (Cu Kα, 1.54184 Å), based on a structure optimized by DFT (GGA-PBE).
Lines closer than 0.1° are merged.

Largest 6 diffraction maxima, in order of rising 2θ, 2θ from 10° to 90°:
| Position (°2θ) | d [Å] | I (rel.) | (hkl) |
| --- | --- | --- | --- |
| 13.3 | 6.669 | 100 | 0 0 3 |
| 26.1 | 3.414 | 54 | 0 2 1 |
| 27.2 | 3.274 | 35 | 2 0 2 |
| 31.4 | 2.848 | 82 | 0 2 4 |
| 44.7 | 2.028 | 30 | 2 0 8 |
| 45.3 | 2.000 | 30 | 2 2 0 |

Crystal structure
abc: 8.0017 8.0017 20.0078
angles: 90.00 90.00 120.00
Space group R-3m (No. 166, hexagonal axes)
Symmetry-distinct sites (fractional):
Na 0.0000 0.5000 0.0000 (multiplicity 9)
Ho 0.0000 0.0000 0.5000 (multiplicity 3)
Np 0.0000 0.5000 0.5000 (multiplicity 9)
S 0.0000 0.0000 0.2414 (multiplicity 6)
S 0.0006 0.5003 0.2401 (multiplicity 18)



[3]
Y2CoNi3: computed powder XRD pattern (Cu Kα, 1.54184 Å), based on a structure optimized by DFT (GGA-PBE).
Lines closer than 0.1° are merged.

Largest 6 diffraction maxima, in order of rising 2θ, 2θ from 10° to 90°:
| Position (°2θ) | d [Å] | I (rel.) | (hkl) |
| --- | --- | --- | --- |
| 33.1 | 2.709 | 38 | 1 1 2 |
| 34.3 | 2.612 | 100 | 1 0 3 |
| 35.3 | 2.545 | 67 | 0 2 0 |
| 43.8 | 2.066 | 36 | 2 0 0 |
| 50.0 | 1.823 | 66 | 1 2 3 |
| 57.5 | 1.604 | 31 | 2 2 0 |

Crystal structure
abc: 4.1326 5.0891 10.1116
angles: 90.00 90.00 90.00
Space group Immm (No. 71)
Symmetry-distinct sites (fractional):
Y 0.0000 0.0000 0.1879 (multiplicity 4)
Co 0.0000 0.0000 0.5000 (multiplicity 2)
Ni 0.0000 0.5000 0.1134 (multiplicity 4)
Ni 0.0000 0.5000 0.5000 (multiplicity 2)



[4]
Mn2CoRe: computed powder XRD pattern (Cu Kα, 1.54184 Å), based on a structure optimized by DFT (GGA-PBE).
Lines closer than 0.1° are merged.

Largest 6 diffraction maxima, in order of rising 2θ, 2θ from 10° to 90°:
| Position (°2θ) | d [Å] | I (rel.) | (hkl) |
| --- | --- | --- | --- |
| 17.1 | 5.187 | 22 | 0 0 1 |
| 30.5 | 2.933 | 19 | 0 1 1 |
| 43.2 | 2.095 | 100 | 1 1 0 |
| 49.7 | 1.833 | 32 | 1 0 2 |
| 74.3 | 1.276 | 19 | 1 2 2 |
| 88.7 | 1.102 | 23 | 2 1 2 |

Crystal structure
abc: 2.5917 3.5566 5.1873
angles: 90.00 90.00 90.00
Space group Pmmm (No. 47)
Symmetry-distinct sites (fractional):
Mn 0.0000 0.0000 0.2291 (multiplicity 2)
Co 0.5000 0.5000 0.0000 (multiplicity 1)
Re 0.5000 0.5000 0.5000 (multiplicity 1)



[5]
Nd2SmCuTe5: computed powder XRD pattern (Cu Kα, 1.54184 Å), based on a structure optimized by DFT (GGA-PBE).
Lines closer than 0.1° are merged.

Largest 6 diffraction maxima, in order of rising 2θ, 2θ from 10° to 90°:
| Position (°2θ) | d [Å] | I (rel.) | (hkl) |
| --- | --- | --- | --- |
| 25.1 | 3.548 | 17 | 1 1 2 |
| 28.7 | 3.113 | 41 | 0 6 1 |
| 29.4 | 3.033 | 100 | 1 1 3 |
| 34.1 | 2.632 | 68 | 1 5 2 |
| 39.4 | 2.286 | 20 | 0 6 4 |
| 41.7 | 2.166 | 30 | 2 0 0 |

Crystal structure
abc: 4.3311 19.2322 13.0719
angles: 90.00 90.00 90.00
Space group Cmc2_1 (No. 36)
Symmetry-distinct sites (fractional):
Nd 0.0000 0.1084 0.0000 (multiplicity 4)
Nd 0.0000 0.1228 0.6223 (multiplicity 4)
Sm 0.0000 0.1914 0.3246 (multiplicity 4)
Cu 0.0000 0.4296 0.7732 (multiplicity 4)
Te 0.0000 0.0407 0.3790 (multiplicity 4)
Te 0.0000 0.2868 0.9919 (multiplicity 4)
Te 0.0000 0.3154 0.6552 (multiplicity 4)